**Material**
A molecular structure, C8H4F3NO9S3SeW. Source: the Open Molecules 2025 dataset; level of theory: ωB97M-V/def2-TZVPD.

```
30
Properties=species:S:1:pos:R:3:mulliken_charge:R:1
W -0.31 -0.68 0.24 1.570
O -0.49 -4.61 0.26 -0.520
S -0.06 -3.36 -0.18 1.503
O 0.58 -2.40 0.84 -0.412
O -1.16 -2.37 -0.57 -0.493
C 1.18 -3.46 -1.43 0.321
C 1.43 -4.74 -1.88 -0.527
C 2.47 -4.99 -2.77 -0.707
C 3.28 -3.96 -3.20 -0.717
C 3.03 -2.65 -2.76 -0.515
C 2.00 -2.39 -1.88 0.315
S 1.72 -0.69 -1.58 1.458
O 2.51 0.15 -2.37 -0.505
O 1.72 -0.37 -0.07 -0.516
O 0.19 -0.57 -1.70 -0.415
H 0.82 -5.57 -1.52 0.549
H 2.64 -6.00 -3.12 0.451
H 4.10 -4.14 -3.88 0.453
H 3.64 -1.84 -3.13 0.540
Se 0.84 -0.07 2.67 0.297
C -0.82 -0.61 2.49 0.243
N -1.74 -0.97 1.82 -0.310
F -2.69 3.54 0.78 -0.135
C -3.01 2.28 0.67 0.750
F -4.19 2.10 0.14 -0.139
F -2.89 1.65 1.82 -0.177
S -1.77 1.51 -0.54 1.096
O -2.07 0.03 -0.65 -0.541
O -1.65 2.27 -1.71 -0.396
O -0.45 1.31 0.29 -0.522
```

Orbital gap   7.08 eV
HOMO   -17.58 eV
Net charge   +2

A molecular structure, C38H41BrN6O4RuS2. Source: the Open Molecules 2025 dataset; level of theory: ωB97M-V/def2-TZVPD.

```
93
Properties=species:S:1:pos:R:3:mulliken_spin:R:1
Ru 0.41 0.00 -0.65 0.800
C -1.37 -5.91 -1.64 0.001
C -0.88 -5.40 -0.29 -0.002
N -1.29 -4.01 -0.01 0.014
C -2.42 -3.82 0.89 -0.004
C -3.77 -3.95 0.21 0.002
C -0.65 -3.01 -0.62 0.005
S -1.30 -1.40 -0.37 0.035
N 0.34 -3.34 -1.43 0.000
C 1.37 -2.59 -1.76 0.003
O 1.69 -1.46 -1.27 -0.013
C 2.29 -3.15 -2.78 -0.002
C 2.21 -4.50 -3.14 0.001
C 3.06 -5.01 -4.11 -0.001
C 3.99 -4.18 -4.72 0.002
C 4.07 -2.84 -4.37 0.000
C 3.23 -2.33 -3.40 0.000
H -1.04 -6.95 -1.77 0.000
H -0.96 -5.32 -2.45 0.000
H -2.46 -5.90 -1.70 0.000
H 0.21 -5.46 -0.23 0.001
H -1.29 -6.00 0.52 -0.001
H -2.33 -2.83 1.35 0.003
H -2.32 -4.55 1.69 0.000
H -3.87 -3.22 -0.60 -0.001
H -4.57 -3.78 0.93 0.000
H -3.91 -4.95 -0.21 0.000
H 1.49 -5.13 -2.65 0.000
H 3.00 -6.05 -4.38 0.000
H 4.65 -4.58 -5.48 0.000
H 4.79 -2.20 -4.86 0.000
H 3.28 -1.28 -3.13 0.004
C 3.41 1.16 -0.95 -0.004
O 2.35 0.98 0.00 0.054
C 2.60 1.30 1.32 0.006
C 3.70 2.02 1.74 -0.002
C 3.86 2.23 3.10 0.000
Br 5.34 3.22 3.69 0.000
C 2.97 1.72 4.02 0.001
C 1.87 0.97 3.59 0.003
C 1.69 0.78 2.23 -0.026
O 0.62 0.04 1.72 0.002
C 0.94 0.46 4.61 -0.001
N 0.99 0.82 5.86 0.000
C -0.02 0.11 6.48 0.000
C -0.41 0.11 7.82 0.000
C -1.46 -0.70 8.18 0.000
C -2.12 -1.52 7.24 0.000
C -1.74 -1.54 5.92 0.000
C -0.68 -0.70 5.56 -0.001
N -0.05 -0.46 4.36 0.001
H 4.28 0.59 -0.63 0.000
H 3.65 2.22 -1.04 0.002
H 3.04 0.77 -1.90 -0.001
H 4.42 2.42 1.04 0.000
H 3.10 1.88 5.08 0.000
H -0.13 0.67 1.60 -0.006
H 0.09 0.74 8.55 0.000
H -1.79 -0.72 9.22 0.000
H -2.93 -2.15 7.57 0.000
H -2.25 -2.16 5.20 0.000
H -0.23 -0.88 3.47 0.000
C -2.27 4.51 -3.93 0.001
C -0.77 4.27 -4.02 -0.003
N -0.39 2.85 -3.90 0.015
C -0.06 2.15 -5.15 -0.001
C -1.28 1.54 -5.83 0.006
C -0.42 2.26 -2.71 -0.007
S -0.12 0.51 -2.73 0.109
N -0.73 3.04 -1.68 0.012
C -0.90 2.69 -0.42 -0.013
O -0.69 1.55 0.10 0.008
C -1.39 3.74 0.50 -0.003
C -1.53 5.06 0.06 -0.001
C -1.96 6.04 0.93 0.000
C -2.26 5.72 2.25 0.000
C -2.13 4.41 2.70 0.000
C -1.70 3.43 1.83 0.000
H -2.48 5.57 -4.03 0.000
H -2.66 4.17 -2.97 0.000
H -2.80 3.99 -4.73 0.000
H -0.25 4.82 -3.23 0.001
H -0.38 4.61 -4.98 -0.001
H 0.67 1.38 -4.93 0.001
H 0.42 2.87 -5.80 0.001
H -1.78 0.82 -5.19 -0.001
H -0.97 1.03 -6.74 0.000
H -2.00 2.31 -6.11 0.000
H -1.29 5.29 -0.96 -0.001
H -2.07 7.06 0.59 0.000
H -2.60 6.49 2.93 0.000
H -2.37 4.16 3.72 0.000
H -1.61 2.41 2.18 0.000
```

Orbital gap (alpha / beta)   7.35 / 6.21 eV
Multiplicity   2
HOMO (alpha / beta)   -10.29 / -10.29 eV
Net charge   +1
⟨S²⟩   0.757
Energy above the lowest of the compared OMol25 structures with the same formula, charge and spin   63.6 kJ/mol

What did the first record say?
A molecular structure, C8H4F3NO9S3SeW. Source: the Open Molecules 2025 dataset; level of theory: ωB97M-V/def2-TZVPD.

```
30
Properties=species:S:1:pos:R:3:mulliken_charge:R:1
W -0.31 -0.68 0.24 1.570
O -0.49 -4.61 0.26 -0.520
**Request**
Echo the block further up from the line with "0.14 -0.139" to the end without additions.
**Response**
F -4.19 2.10 0.14 -0.139
F -2.89 1.65 1.82 -0.177
S -1.77 1.51 -0.54 1.096
O -2.07 0.03 -0.65 -0.541
O -1.65 2.27 -1.71 -0.396
O -0.45 1.31 0.29 -0.522
```

Orbital gap   7.08 eV
HOMO   -17.58 eV
Net charge   +2

A molecular structure, C38H41BrN6O4RuS2. Source: the Open Molecules 2025 dataset; level of theory: ωB97M-V/def2-TZVPD.

```
93
Properties=species:S:1:pos:R:3:mulliken_spin:R:1
Ru 0.41 0.00 -0.65 0.800
C -1.37 -5.91 -1.64 0.001
C -0.88 -5.40 -0.29 -0.002
N -1.29 -4.01 -0.01 0.014
C -2.42 -3.82 0.89 -0.004
C -3.77 -3.95 0.21 0.002
C -0.65 -3.01 -0.62 0.005
S -1.30 -1.40 -0.37 0.035
N 0.34 -3.34 -1.43 0.000
C 1.37 -2.59 -1.76 0.003
O 1.69 -1.46 -1.27 -0.013
C 2.29 -3.15 -2.78 -0.002
C 2.21 -4.50 -3.14 0.001
C 3.06 -5.01 -4.11 -0.001
C 3.99 -4.18 -4.72 0.002
C 4.07 -2.84 -4.37 0.000
C 3.23 -2.33 -3.40 0.000
H -1.04 -6.95 -1.77 0.000
H -0.96 -5.32 -2.45 0.000
H -2.46 -5.90 -1.70 0.000
H 0.21 -5.46 -0.23 0.001
H -1.29 -6.00 0.52 -0.001
H -2.33 -2.83 1.35 0.003
H -2.32 -4.55 1.69 0.000
H -3.87 -3.22 -0.60 -0.001
H -4.57 -3.78 0.93 0.000
H -3.91 -4.95 -0.21 0.000
H 1.49 -5.13 -2.65 0.000
H 3.00 -6.05 -4.38 0.000
H 4.65 -4.58 -5.48 0.000
H 4.79 -2.20 -4.86 0.000
H 3.28 -1.28 -3.13 0.004
C 3.41 1.16 -0.95 -0.004
O 2.35 0.98 0.00 0.054
C 2.60 1.30 1.32 0.006
C 3.70 2.02 1.74 -0.002
C 3.86 2.23 3.10 0.000
Br 5.34 3.22 3.69 0.000
C 2.97 1.72 4.02 0.001
C 1.87 0.97 3.59 0.003
C 1.69 0.78 2.23 -0.026
O 0.62 0.04 1.72 0.002
C 0.94 0.46 4.61 -0.001
N 0.99 0.82 5.86 0.000
C -0.02 0.11 6.48 0.000
C -0.41 0.11 7.82 0.000
C -1.46 -0.70 8.18 0.000
C -2.12 -1.52 7.24 0.000
C -1.74 -1.54 5.92 0.000
C -0.68 -0.70 5.56 -0.001
N -0.05 -0.46 4.36 0.001
H 4.28 0.59 -0.63 0.000
H 3.65 2.22 -1.04 0.002
H 3.04 0.77 -1.90 -0.001
H 4.42 2.42 1.04 0.000
H 3.10 1.88 5.08 0.000
H -0.13 0.67 1.60 -0.006
H 0.09 0.74 8.55 0.000
H -1.79 -0.72 9.22 0.000
H -2.93 -2.15 7.57 0.000
H -2.25 -2.16 5.20 0.000
H -0.23 -0.88 3.47 0.000
C -2.27 4.51 -3.93 0.001
C -0.77 4.27 -4.02 -0.003
N -0.39 2.85 -3.90 0.015
C -0.06 2.15 -5.15 -0.001
C -1.28 1.54 -5.83 0.006
C -0.42 2.26 -2.71 -0.007
S -0.12 0.51 -2.73 0.109
N -0.73 3.04 -1.68 0.012
C -0.90 2.69 -0.42 -0.013
O -0.69 1.55 0.10 0.008
C -1.39 3.74 0.50 -0.003
C -1.53 5.06 0.06 -0.001
C -1.96 6.04 0.93 0.000
C -2.26 5.72 2.25 0.000
C -2.13 4.41 2.70 0.000
C -1.70 3.43 1.83 0.000
H -2.48 5.57 -4.03 0.000
H -2.66 4.17 -2.97 0.000
H -2.80 3.99 -4.73 0.000
H -0.25 4.82 -3.23 0.001
H -0.38 4.61 -4.98 -0.001
H 0.67 1.38 -4.93 0.001
H 0.42 2.87 -5.80 0.001
H -1.78 0.82 -5.19 -0.001
H -0.97 1.03 -6.74 0.000
H -2.00 2.31 -6.11 0.000
H -1.29 5.29 -0.96 -0.001
H -2.07 7.06 0.59 0.000
H -2.60 6.49 2.93 0.000
H -2.37 4.16 3.72 0.000
H -1.61 2.41 2.18 0.000
```

Orbital gap (alpha / beta)   7.35 / 6.21 eV
Multiplicity   2
HOMO (alpha / beta)   -10.29 / -10.29 eV
Net charge   +1
⟨S²⟩   0.757
Energy above the lowest of the compared OMol25 structures with the same formula, charge and spin   63.6 kJ/mol

What did the first record say?
A molecular structure, C8H4F3NO9S3SeW. Source: the Open Molecules 2025 dataset; level of theory: ωB97M-V/def2-TZVPD.

```
30
Properties=species:S:1:pos:R:3:mulliken_charge:R:1
W -0.31 -0.68 0.24 1.570
O -0.49 -4.61 0.26 -0.520